Historical Perspective on SCOTUS Nominations

Despite what seems to be the prevailing mythos, most nominations fights are nothing like the current one.

There is a mythology surrounding SCOTUS nominations that they are always rough-and-tumble and marked by all kinds of perfidy. The classic example is Robert Bork followed by Clarence Thomas.  What I would note is that Bork’s failed confirmation was over 30 years ago and that Thomas’s was over 25.  Further, Thomas weathered credible allegations of misconduct to find himself confirmed as a Justice on the US Supreme Court. Keep in mind:  after Bork they was also Douglas Ginsburg whose name was withdrawn over issues linked to marijuana before Reagan successfully saw Kennedy named to the bench.

To that list we could add Harriet Miers, the 2005 nominee whose name was withdrawn over concerns about her qualifications (bipartisan concerns, I would add) and the 2016 nomination of Merrick Garland, whose nomination was never acted upon by the Senate.

Of these listed:  Bork was controversial and lost the a Senate vote, Ginsburg was withdrawn over past drug use, Thomas was investigated and confirmed, Miers was  withdrawn for qualification problems, and was Garland blocked by politics.

Since Bork, too, we have seen Kennedy, Souter, Breyer, Ginsburg, Roberts, Alito, Sotomayor, Kagan, and Gorsuch nominated and confirmed without major issue. Of those, five (Kennedy, Souter, Roberts, Alito, and Gorsuch) without any crazy drama of the type we are seeing now.

Was there rhetoric? Oh yes, there was.  Was there hand-wringing over this topic and that?  Absolutely.  (Indeed, with the GOP  nominees, rhetoric not unlike what we heard about Kavanaugh).  But at the end of the day, there were hearings, a vote, and a swearing in.

I note all of this because a tweet made me start thinking last night beyond the issue of the mythology of the SCOTUS nomination process to the actual history thereof.   It is not one of endless dirty tricks against Republicans. Rather, it is a usually fairly predictable script.

If the Democrats really were just making things up to derail a nominee, then why didn’t they do it with Gorsuch?  Further, I would note that  Kavanaugh was not the most ideological candidate on Trump’s list.  The odds remain that Trump will get this seat, so stopping Kavanaugh only forestalls the outcome, it does not stop it (save, as I noted yesterday, through a series of improbable outcomes).

None of this speaks to the veracity of the claims against Kavanaugh, but it does put the charges in context   This is not normal nor is it some repetition of Republicans always getting the shaft on SCOTUS nominations.


FILED UNDER: Law and the Courts, Supreme Court, US Politics, , , , ,
Steven L. Taylor
About Steven L. Taylor
Steven L. Taylor is a retired Professor of Political Science and former College of Arts and Sciences Dean. His main areas of expertise include parties, elections, and the institutional design of democracies. His most recent book is the co-authored A Different Democracy: American Government in a 31-Country Perspective. He earned his Ph.D. from the University of Texas and his BA from the University of California, Irvine. He has been blogging since 2003 (originally at the now defunct Poliblog). Follow Steven on Twitter


  1. Kathy says:

    If the Democrats really were just making things up to derail a nominee, then why didn’t they do it with Gorsuch?

    Evidently because they’re not just making things up.

    IMO, the GOP is mad as hell because the masses are getting uppity and rejecting their entitled nominee.

  2. steve says:

    Kennedy was the judge eventually confirmed to take the spot for which Bork was nominated. The vote was 97-0. Two people were out campaigning and one was sick. 6 Republicans voted against Bork.

    While more recent votes have largely not been full of drama, there looks to be a trend of more people voting against a nominee. Having 20-40 people voting against someone is not unusual anymore. I think that is mostly signaling by politicians to their base. The nominees still get confirmed.


  3. Daryl and his brother Darryl says:

    Rosenstein has resigned. Or was fired.

  4. Hal_10000 says:

• These data records were left in the entry by mistake:
~~~
ZrCoTe2I | PBE | relaxed

Uncorrected energy in eV/cell: -21.078
Formation energy without anion corrections in kcal/mol of atoms: 11.114
Size of the total moment in μB/cell: 3.02
SG: P4/mmm, No. 123

Cell lengths 5.607, 5.607, 5.771 Å; angles 90.00, 90.00, 90.00 degrees
Element x y z (fractional)
Zr1 0.000 0.000 0.000
Co1 0.500 0.500 0.500
Te1 0.000 0.500 0.000
Te2 0.500 0.000 0.000
I1 0.000 0.000 0.500

---

Zr3GaTe3 | PBE | relaxed

Uncorrected energy in eV/cell: -173.975
Formation energy without anion corrections in kcal/mol of atoms: -17.781
Size of the total moment in μB/cell: 0.00
SG: I4_132, No. 214

Cell lengths 9.839, 9.839, 9.839 Å; angles 109.47, 109.47, 109.47 degrees
Element x y z (fractional)
Zr1 0.009 0.019 0.259
Zr2 0.009 0.491 0.750
Zr3 0.019 0.259 0.009
Zr4 0.241 0.259 0.750
Zr5 0.241 0.481 0.491
Zr6 0.259 0.009 0.019
Zr7 0.259 0.750 0.241
Zr8 0.481 0.491 0.241
Zr9 0.491 0.241 0.481
Zr10 0.491 0.750 0.009
Zr11 0.750 0.009 0.491
Zr12 0.750 0.241 0.259
Ga1 0.000 0.250 0.500
Ga2 0.250 0.250 0.250
Ga3 0.250 0.500 0.000
Ga4 0.500 0.000 0.250
Te1 0.250 0.757 0.743
Te2 0.250 0.993 0.507
Te3 0.507 0.250 0.993
Te4 0.507 0.757 0.515
Te5 0.515 0.507 0.757
Te6 0.743 0.250 0.757
Te7 0.743 0.993 0.985
Te8 0.757 0.515 0.507
Te9 0.757 0.743 0.250
Te10 0.985 0.743 0.993
Te11 0.993 0.507 0.250
Te12 0.993 0.985 0.743

---

Ca2NbV | PBE | relaxed

Uncorrected energy in eV/cell: -18.880
Size of the total moment in μB/cell: 5.06
SG: Fm-3m, No. 225
Energy of formation in eV/atom: 1.078

Cell lengths 5.244, 5.244, 5.244 Å; angles 60.00, 60.00, 60.00 degrees
Element x y z (fractional)
Ca1 0.250 0.250 0.250
Ca2 0.750 0.750 0.750
Nb1 0.000 0.000 0.000
V1 0.500 0.500 0.500

---

- Which of these has the highest uncorrected energy?
  Ca2NbV

---

- Which of these has the lowest uncorrected energy?
  Zr3GaTe3

---

- Among the records above, which one has the highest size of the total moment?
  Ca2NbV

* * * * *

Material: Ce3PmRh3
Method: DFT, PBE-GGA
State: relaxed

Unit cell a=9.004 b=10.469 c=7.014 alpha=90.00 beta=90.22 gamma=90.00
Space group C2/m (No. 12)
One atom of each set of equivalent atoms:
Ce1 0.000 0.186 0.000 (multiplicity 4)
Ce2 0.000 0.247 0.500 (multiplicity 4)
Ce3 0.140 0.500 0.892 (multiplicity 4)
Pm1 0.243 0.500 0.376 (multiplicity 4)
Rh1 0.063 0.000 0.285 (multiplicity 4)
Rh2 0.239 0.276 0.734 (multiplicity 8)

Output
ΔH_f (0 K) (eV/atom): -0.59

Material: CePm5Rh6
Method: DFT, PBE-GGA
State: relaxed

Unit cell a=15.595 b=7.076 c=4.968 alpha=90.00 beta=108.48 gamma=90.00
Space group C2/m (No. 12)
One atom of each set of equivalent atoms:
Ce1 0.000 0.000 0.000 (multiplicity 2)
Pm1 0.000 0.500 0.000 (multiplicity 2)
Pm2 0.165 0.500 0.665 (multiplicity 4)
Pm3 0.172 0.000 0.672 (multiplicity 4)
Rh1 0.000 0.234 0.500 (multiplicity 4)
Rh2 0.157 0.237 0.158 (multiplicity 8)

Output
ΔH_f (0 K) (eV/atom): -0.69

Material: CePm3Rh3
Method: DFT, PBE-GGA
State: relaxed

Unit cell a=12.174 b=4.152 c=13.806 alpha=90.00 beta=90.00 gamma=90.00
~~~
• So much for the data records:

    If the Democrats really were just making things up to derail a nominee, then why didn’t they do it with Gorsuch?

    I don’t think they’re making things up, but:

    1) there was an attempt to make hay out of a very weak plagiarism allegation against Gorsuch. And remember that the last few weeks have been filled with crazy claims about white power signs, weak charges of perjury and quotes taken out of context.

    2) Gorsuch was replacing Scalia. Kavanaugh is replacing Kennedy, who was perceived a swing vote and a critical vote on Roe (although in the last session, Grosuch and Roberts were to left of Kennedy).

    3) We are close to an election so both sides are looking to fire up their base. Plus, the Democrats feel that if they can push this past the election, they can either force a different candidate or push it to 2021.

    #2 and #3 are driving the intensity of this thing. If it weren’t for those two things, the Republicans would be more willing to delay the vote and I don’t think last night’s Farrow piece sees the light of day.

    But, switching back, it does seem, at minimum, that Kavanaugh’s youth was marked more by binge drinking and possible bad behavior than Gorusch’s. So there *is* a difference between the two nominees. But the weak claims that preceded this, the importance of the vote and the current political situation has amplified it to 11.

  5. @steve: As I noted the other day, it is clear that political polarization (and the post-1994 party realignment) has affected the voting.

    But the point being: confirmation still has largely been pretty smooth over the last several decades.

  6. @Hal_10000: Yes, politics is involved. It always is.

  7. James Joyner says:

    Things have clearly changed in the last 30ish years, in that the fights are much more partisan. But you’re quite right: smear campaigns and the like are simply not the norm.

    It’s worth remembering that Reagan’s nominee before Bork was Antonin Scalia, who was confirmed 98-0. Reagan’s nominee before Scalia, Sandra Day O’Connor, was confirmed 99-0.
    Kennedy, who filled the spot after the Bork fiasco, was confirmed 97-0. The next nominee, Souter, was a bit more controversial but still passed 90-9.

    That was followed by the Clarence Thomas debacle but he was incredibly controversial even before the Anita Hill allegations.

    But even after that, things were normalish. Ginsburg 96-3. Breyer 87-9.

• What comes next are data records, not part of the text:
=====
No. 1
The following is a PBE calculation of a geometry-optimized Sr2YPaS6 structure, from the Alexandria database.

Results
- formation energy without anion corrections (eV per atom) = -1.96

a b c (Å): 6.985 7.457 10.163
angles (deg): 90.00 89.59 90.00
Positions (direct):
Sr  0.473  0.421  0.248
Sr  0.973  0.079  0.748
Sr  0.027  0.921  0.252
Sr  0.527  0.579  0.752
Pa  0.000  0.500  0.000
Pa  0.500  0.000  0.500
S  0.116  0.462  0.754
S  0.304  0.692  0.059
S  0.186  0.201  0.063
S  0.314  0.701  0.437
S  0.696  0.308  0.941
S  0.196  0.192  0.441
S  0.686  0.299  0.563
S  0.814  0.799  0.937
S  0.884  0.538  0.246
S  0.616  0.038  0.254
S  0.384  0.962  0.746
S  0.804  0.808  0.559
Y  0.500  0.000  0.000
Y  0.000  0.500  0.500


No. 2
The following is a PBE calculation of a geometry-optimized Sr2PaZnS5 structure, from the Alexandria database.

Results
- formation energy without anion corrections (eV per atom) = -1.65

a b c (Å): 4.015 9.021 12.426
angles (deg): 90.00 90.00 102.86
Positions (direct):
S  0.291  0.582  0.668
S  0.310  0.620  0.368
S  0.690  0.380  0.868
S  0.644  0.288  0.507
S  0.051  0.102  0.042
S  0.709  0.418  0.168
S  0.949  0.898  0.542
S  0.356  0.712  0.007
S  0.501  0.003  0.274
S  0.499  0.997  0.774
Sr  0.879  0.757  0.820
Sr  0.121  0.243  0.320
Sr  0.891  0.782  0.186
Sr  0.109  0.218  0.686
Zn  0.554  0.109  0.939
Zn  0.446  0.891  0.439
Pa  0.205  0.410  0.019
Pa  0.795  0.590  0.519


No. 3
The following is a PBE calculation of a geometry-optimized Pa2TaS6 structure, from the Alexandria database.

Results
- formation energy without anion corrections (eV per atom) = -1.43

a b c (Å): 7.132 6.118 8.551
angles (deg): 91.04 90.00 90.00
Positions (direct):
Pa  0.628  0.043  0.247
Pa  0.128  0.457  0.253
Pa  0.372  0.957  0.753
Pa  0.872  0.543  0.747
Ta  0.500  0.500  0.000
Ta  0.000  0.000  0.500
S  0.675  0.843  0.939
S  0.325  0.157  0.061
S  0.537  0.354  0.733
S  0.687  0.850  0.563
S  0.313  0.150  0.437
S  0.187  0.650  0.937
S  0.825  0.343  0.439
S  0.037  0.146  0.767
S  0.175  0.657  0.561
S  0.963  0.854  0.233
S  0.813  0.350  0.063
S  0.463  0.646  0.267


no.,total energy (eV per atom),M_tot (Bohr magnetons per cell)
1,-6.37,0.0
2,-5.51,2.0
3,-7.61,0.0

* * * * *

4
Lattice="4.1618 0.0000 0.0000 2.0809 3.6042 0.0000 2.0809 1.2014 6.9196" Properties=species:S:1:pos:R:3 comment="CaNdPd2 GGA-PBE optimized geometry" density_g_cm3=6.35 total_magnetization_mub_per_cell=0.0 ef_ev_per_atom=-0.58 pbc="T T T"
Pd 6.2426 3.6042 5.1623
Pd 2.0809 1.2014 1.7574
Ca 0.0000 0.0000 0.0000
Nd 4.1618 2.4028 3.4598

* * * * *

VASP calculation (GGA-PBE) on an optimized crystal structure of PaNbGa2.

The value obtained for the offset from the most stable computed form is 10.6 meV/atom. The calculation puts the density at 9.70 g/cm3. The calculation puts the total energy at -26.7 eV/f.u. The space group is Pnma. Its formation energy is -269 meV per atom. The total moment comes out at 0.000 μB per formula unit.
=====

    Roberts was contentious but still 78–22.

    Alito, at 58–42, was the first close vote after Thomas.

    And Republicans played ball on both Sotomayor and Kagen (68–31 and 63-37, respectively).

    Even Gorsuch was 54–45—which is pretty amazing considering he was filling the seat that by all rights should have been Merrick Garland’s.

    Kavanaugh had a lot of strikes against him even before the allegations. Because he would fill the Kennedy seat, he’s going to be a sea change. Plus, his background is simply more political than many of the recent nominees.

    I suspect Amy Coney Barrett, who’s younger and arguably more conservative, would sail through rather easily.

  8. James Joyner says:

    @Steven L. Taylor: It’s really hard to take the politics out of politics.

  9. @James Joyner: To quote a great philosopher: exactamundo.

  10. @James Joyner: And for further context, it is worth noting that Nixon had two nominees rejected (Carswell 45-51 and Haynsworth 45-55).


    Rehnquist, 68-26
    Powell 89-1
    Burger 74-3
    Blackmun 94-0

    I think we (myself included), look to Scalia and O’Connor pre-Bork and say “look how non-contentious it was before Bork!” When the Nixon administration looks a lot more like the post-Bork years that the immediate pre-Bork years.


    LBJ and Thurgood Marshall: 69-11

    Ike and Potter Stewart 70-17
    Ike and John Harlan 71-11


  11. James Joyner says:

    @Steven L. Taylor:

    And for further context, it is worth noting that Nixon had two nominees rejected (Carswell 45-51 and Haynsworth 45-55).

-- What comes next are crystal structures, not part of the piece --
Entry from Alexandria: a relaxed structure of La2BeNi3As4 (PBE-GGA).

formation energy from the elements	-77	kJ per mole of atoms

Cell and atoms, written as POSCAR:
```
La2BeNi3As4
1.0
4.237 0.000 0.000
0.000 4.237 0.000
0.000 0.000 9.603
La Be Ni As
2 1 3 4
direct
0.000 0.500 0.249
0.500 0.000 0.751
0.500 0.500 0.000
0.000 0.000 0.000
0.000 0.500 0.617
0.500 0.000 0.383
0.000 0.000 0.500
0.000 0.500 0.871
0.500 0.000 0.129
0.500 0.500 0.500
```

=====

[1]
First-principles (PBE) data for a geometry-optimized Ac8La2Pm3 structure, as listed in Alexandria via LeMat-Bulk.

```
Ac8La2Pm3
1.0
-3.6896 -6.2823 -1.1058
-6.4545 -3.1428 7.4785
-10.3111 0.5954 -0.8908
La Pm Ac
2 3 8
direct
0.5300 0.1933 0.1933
0.4700 0.8067 0.8067
0.0000 0.1640 0.8360
0.5000 0.0000 0.0000
0.0000 0.8360 0.1640
0.4594 0.8026 0.4330
0.9875 0.4001 0.4001
0.4594 0.4330 0.8026
0.5406 0.1974 0.5670
0.0125 0.5999 0.5999
0.0125 0.1861 0.1861
0.9875 0.8139 0.8139
0.5406 0.5670 0.1974
```

Summary:
ΔH_f (0 K) = 0.206 eV/atom
distance to the lowest polymorph of the same formula = 2 meV per atom

---

[2]
First-principles (PBE) data for a geometry-optimized Cd2CuAg structure, as listed in Alexandria via LeMat-Bulk.

```
Cd2CuAg
1.0
4.0610 0.0000 0.0000
0.0000 4.0610 0.0000
2.0305 2.0305 9.8323
Ag Cu Cd
2 2 4
direct
0.7500 0.2500 0.5000
0.0000 0.0000 0.0000
0.5000 0.5000 0.0000
0.2500 0.7500 0.5000
0.8750 0.8687 0.7500
0.3750 0.3813 0.7500
0.1313 0.6250 0.2500
0.6187 0.1250 0.2500
```

Summary:
ΔH_f (0 K) = 0.251 eV/atom

---

The records above give, respectively, N(E_F) values of 19.90 3.63 states/eV per cell.
The records above give, respectively, calculated density values of 7.4 8.1 Mg/m³.

=====

(1)
RbLiPb3: relaxed, PBE.

Cell lengths 6.242, 6.242, 6.242 Å; angles 90.00, 90.00, 90.00 degrees
Space group Pm-3m (No. 221)
One atom of each set of equivalent atoms:
Rb 0.000 0.000 0.000 (multiplicity 1)
Li 0.500 0.500 0.500 (multiplicity 1)
Pb 0.000 0.000 0.500 (multiplicity 3)

Results
**Raw total energy**: -9.2 eV/cell
**ΔE to the lowest computed polymorph**: 541 kJ/mol of formula units


(2)
SbTe2RuI: relaxed, PBE.

Cell lengths 5.198, 5.198, 5.379 Å; angles 90.00, 90.00, 90.00 degrees
Space group P4/mmm (No. 123)
One atom of each set of equivalent atoms:
Sb 0.000 0.000 0.000 (multiplicity 1)
Te 0.000 0.500 0.500 (multiplicity 2)
Ru 0.500 0.500 0.500 (multiplicity 1)
I 0.500 0.500 0.000 (multiplicity 1)

Results
**Raw total energy**: -18.9 eV/cell
**ΔE to the lowest computed polymorph**: 37 kJ/mol of formula units
**Energy relative to the elements, uncorrected**: 0.460 eV/atom


(3)
Re2HgMo: relaxed, PBE.

Cell lengths 2.8289, 2.8289, 28.6338 Å; angles 90.00, 90.00, 120.00 degrees
Space group R3m (No. 160, hexagonal axes)
One atom of each set of equivalent atoms:
Re 0.0000 0.0000 0.0000 (multiplicity 3)
Re 0.0000 0.0000 0.2594 (multiplicity 3)
Hg 0.0000 0.0000 0.5031 (multiplicity 3)
Mo 0.0000 0.0000 0.7473 (multiplicity 3)

Results
**Raw total energy**: -103.6 eV/cell


(4)

    True. They were before my political consciousness but I gather they were both were extremely problematic. Carswell was a mediocrity, at best, and had several incredibly racist public statements during a political campaign and Haynsworth had substantial baggage. Indeed, a significant number of Republicans voted against them both.

    But, yes, there’s always politics in these things and they tend to heat up during particularly bitter times.

  12. Joe says:

    “perfididy” – best. word. ever.

    @James Joyner: I called Amy Coney Barrett over a week ago. I want the props if that happens.

  13. @Joe: Oops. Should have been “perfidy”–I wrote this post on my phone waiting for the DMV to open this morning.

  14. de stijl says:


    Hidely ho, neighborino.

  15. Joe says:

    @Steven L. Taylor:

    I assumed it was just a typo, but it cracked me up, thinking of some overly-serious narrator pronouncing it. Just more perfididious behavior on my part!

  16. @Joe: 🙂

  17. @James Joyner:

    True. They were before my political consciousness but I gather they were both were extremely problematic.

    Mine, too (obviously). But this is kind of my point: so many folks base their understanding on the process on Reagan onward that they don’t realize the 99-0 and 97-0 weren’t the norm.

  18. Tyrell says:

    Well, the leaders of the Republicans and Democrats are not what we used to have either. Look at the past: Democrats had Truman, Johnson, Kennedy, Carter, Fulbright, Mills, Humphrey, Hollings, and Connally*. Republicans had Goldwater, Dirksen, Ford, Rockefeller, Dole, Reagan, Baker, Thompson.
    Time for a third party that is centrist and common sense – in touch with the regular working people.
    *John Connally – a leader who was almost assassinated by Lee Harvey Oswald (and maybe others).
    (I am now almost 95% un- Googled: faster operation and no spyware).